(A Must Post) A Failed Global Warming Prediction in 2005 Shows the Depths of Fear Mongering in the Left’s Secular Eschatology

I got a laugh from this Newsbusters Post:

To give you an idea of the kind of hysterical predictions the global warming crowd have made in recent years, the United Nations in 2005 actually forecast that by the end of the previous decade, there would be 50 million environmental refugees around the world as a result of climate change.

Britain’s Guardian reported October 12, 2005:

Rising sea levels, desertification and shrinking freshwater supplies will create up to 50 million environmental refugees by the end of the decade, experts warn today. Janos Bogardi, director of the Institute for Environment and Human Security at the United Nations University in Bonn, said creeping environmental deterioration already displaced up to 10 million people a year, and the situation would get worse.

“There are well-founded fears that the number of people fleeing untenable environmental conditions may grow exponentially as the world experiences the effects of climate change,” Dr Bogardi said. “This new category of refugee needs to find a place in international agreements. We need to better anticipate support requirements, similar to those of people fleeing other unviable situations.” […]

Hans van Ginkel, UN under-secretary-general and rector of the university, said: “This is a highly complex issue, with global organisations already overwhelmed by the demands of conventionally recognised refugees. However, we should prepare now to define, accept and accommodate this new breed of refugee.”

As Gavin Atkins of the Asian Correspondent noted Monday, the U.N. back in 2005 provided a handy map to identify “places most at risk including the very sensitive low lying islands of the Pacific and Caribbean.”

Calculated crystals from another source follow.
# 1
First-principles (PBE) data for an optimized crystal structure of Cu3Ag2Pd5, as listed in the Alexandria database.

Cell: 5.2454 8.3974 8.3974 Å, 93.12 71.80 71.80°
With the nearest neighbours (Å) after each atom.
Element x y z (fractional)
Cu1 0.3605 0.4951 0.7838  5 Pd 2.45-2.62, 2 Ag 2.71
Cu2 0.8605 0.7838 0.4951  5 Pd 2.45-2.62, 2 Ag 2.71
Cu3 0.6395 0.5049 0.2162  5 Pd 2.45-2.62, 2 Ag 2.71
Cu4 0.1395 0.2162 0.5049  5 Pd 2.45-2.62, 2 Ag 2.71
Cu5 0.2500 0.0000 0.0000  6 Pd 2.44-2.51, 2 Cu 2.62
Cu6 0.7500 0.0000 0.0000  6 Pd 2.44-2.51, 2 Cu 2.62
Ag1 0.1390 0.5621 0.1600  4 Cu 2.71-2.96, 2 Pd 2.85-2.89
Ag2 0.6390 0.1600 0.5621  4 Cu 2.71-2.96, 2 Pd 2.85-2.89
Ag3 0.8610 0.4379 0.8400  4 Cu 2.71-2.96, 2 Pd 2.85-2.89
Ag4 0.3610 0.8400 0.4379  4 Cu 2.71-2.96, 2 Pd 2.85-2.89
Pd1 0.4160 0.2445 0.9234  3 Cu 2.45-2.51
Pd2 0.9160 0.9234 0.2445  3 Cu 2.45-2.51
Pd3 0.5840 0.7555 0.0766  3 Cu 2.45-2.51
Pd4 0.0840 0.0766 0.7555  3 Cu 2.45-2.51
Pd5 0.4876 0.7624 0.7624  3 Cu 2.44-2.53, 3 Pd 2.62-2.70
Pd6 0.5124 0.2376 0.2376  3 Cu 2.44-2.53, 3 Pd 2.62-2.70
Pd7 0.7500 0.5000 0.5000  4 Pd 2.62-2.70, 4 Cu 2.62
Pd8 0.2500 0.5000 0.5000  4 Pd 2.62-2.70, 4 Cu 2.62
Pd9 0.0124 0.2376 0.2376  3 Cu 2.44-2.53, 3 Pd 2.62-2.70
Pd10 0.9876 0.7624 0.7624  3 Cu 2.44-2.53, 3 Pd 2.62-2.70

space group: No. 72
DFT formation energy: 0.1926 eV/atom



# 2
First-principles (PBE) data for an optimized crystal structure of BaSrCdIr, as listed in the Alexandria database.

Cell: 4.7259 4.6686 11.6654 Å, 90.00 90.00 90.00°
With the nearest neighbours (Å) after each atom.
Element x y z (fractional)
Sr1 0.0000 0.0000 0.3925  3 Cd 3.27-3.54, 4 Ir 3.43
Sr2 0.0000 0.5000 0.8925  3 Cd 3.27-3.54, 4 Ir 3.43
Ir1 0.5000 0.0000 0.9657  2 Cd 2.76
Ir2 0.5000 0.5000 0.4657  2 Cd 2.76
Ba1 0.5000 0.0000 0.6773  3 Ir 3.36-3.40, 4 Cd 3.48
Ba2 0.5000 0.5000 0.1773  3 Ir 3.36-3.40, 4 Cd 3.48
Cd1 0.0000 0.0000 0.0886  2 Ir 2.76
Cd2 0.0000 0.5000 0.5886  2 Ir 2.76

space group: No. 38
DFT formation energy: -0.1455 eV/atom



# 3
First-principles (PBE) data for an optimized crystal structure of TbPr4Y6, as listed in the Alexandria database.

Cell: 3.6180 11.0522 11.0522 Å, 120.00 90.00 90.00°
With the nearest neighbours (Å) after each atom.
Element x y z (fractional)
Tb1 0.0000 0.0000 0.0000  6 Pr 3.56, 2 Tb 3.62, 6 Y 3.94
Pr1 0.5000 0.8398 0.6796  6 Y 3.31-3.59, 2 Tb 3.56, 2 Pr 3.62
Pr2 0.5000 0.3204 0.1602  6 Y 3.31-3.59, 2 Tb 3.56, 2 Pr 3.62
Pr3 0.5000 0.8398 0.1602  6 Y 3.31-3.59, 2 Tb 3.56, 2 Pr 3.62
Pr4 0.0000 0.3333 0.6667  9 Y 3.40-3.55, 2 Pr 3.62
Y1 0.0000 0.5187 0.0374  5 Pr 3.55-3.59, 6 Y 3.62-3.73
Y2 0.5000 0.6339 0.8170  4 Pr 3.31-3.40, 2 Y 3.62
Y3 0.0000 0.5187 0.4813  5 Pr 3.55-3.59, 6 Y 3.62-3.73
Y4 0.0000 0.9626 0.4813  5 Pr 3.55-3.59, 6 Y 3.62-3.73
Y5 0.5000 0.1830 0.8170  4 Pr 3.31-3.40, 2 Y 3.62
Y6 0.5000 0.1830 0.3661  4 Pr 3.31-3.40, 2 Y 3.62

space group: No. 187
DFT formation energy: 0.1644 eV/atom



# 4

Atkins chose to look at census figures for some of these “at risk” locales to see whether the U.N.’s predictions – pun intended – hold water. What he discovered was that far from seeing a population exodus, many of these areas are growing in their number of homo sapiens.

These included the Bahamas, St. Lucia, Seychelles, and the Solomon Islands. Atkins continued:

Meanwhile, far from being places where people are fleeing, no fewer than the top six of the very fastest growing cities in China, Shenzzen, Dongguan, Foshan, Zhuhai, Puning and Jinjiang, are absolutely smack bang within the shaded areas identified as being likely sources of climate refugees.

Similarly, many of the fastest growing cities in the United States also appear within or close to the areas identified by the UNEP as at risk of having climate refugees.

More censuses are due to come in this year, and we await the results for Bangladesh and the Maldives – said to be places most at risk – with interest.

However, a very cursory look at the first available evidence seems to show that the places identified by the UNEP as most at risk of having climate refugees are not only not losing people, they are actually among the fastest growing regions in the world.

Kind of like predicting a team to come in last place at the beginning of the season that ends up winning the Super Bowl, wouldn’t you say?

........
Material: CrCoNO2
Method: DFT, PBE+U
State: optimized geometry

## Properties
* total DFT energy (no corrections): -6.076 eV per atom
* crystal system: tetragonal
* V: 51.1 Å³/cell
* space-group type: No. 123

a = 3.715 Å, b = 3.715 Å, c = 3.703 Å
α = 90.00°, β = 90.00°, γ = 90.00°
Sites, in units of the cell vectors:
Cr1 0.000 0.000 0.000
N1 0.000 0.000 0.500
O1 0.000 0.500 0.000
O2 0.500 0.000 0.000
Co1 0.500 0.500 0.500

* * * * *

Entry 1:
VASP calculation (PBE-GGA) on BaUSnS6 after structural relaxation.

Values from the calculation:
E: -5.70 eV/atom
Space group: No. 163
Crystal system: trigonal
M_tot: 0.00 Bohr magnetons per cell

Cell lengths 6.6112, 6.6112, 14.1194 Å; angles 90.00, 90.00, 120.00 degrees
Last column: nearest neighbours and their distance in Å.
Element x y z (fractional)
S: 0.3753 0.0022 0.6420  1 U 2.57, 1 Sn 2.59
U: 0.3333 0.6667 0.2500  6 S 2.57
Ba: 0.0000 0.0000 0.5000  6 S 3.18
Sn: 0.3333 0.6667 0.7500  6 S 2.59
Ba: 0.0000 0.0000 0.0000  6 S 3.18
S: 0.9978 0.3731 0.6420  1 U 2.57, 1 Sn 2.59
S: 0.6247 0.6269 0.1420  1 U 2.57, 1 Sn 2.59
S: 0.3731 0.9978 0.1420  1 U 2.57, 1 Sn 2.59
S: 0.6269 0.0022 0.8580  1 U 2.57, 1 Sn 2.59
S: 0.6269 0.6247 0.6420  1 U 2.57, 1 Sn 2.59
U: 0.6667 0.3333 0.7500  6 S 2.57
S: 0.3753 0.3731 0.8580  1 U 2.57, 1 Sn 2.59
S: 0.3731 0.3753 0.3580  1 U 2.57, 1 Sn 2.59
S: 0.0022 0.3753 0.1420  1 U 2.57, 1 Sn 2.59
S: 0.0022 0.6269 0.3580  1 U 2.57, 1 Sn 2.59
Sn: 0.6667 0.3333 0.2500  6 S 2.59
S: 0.6247 0.9978 0.3580  1 U 2.57, 1 Sn 2.59
S: 0.9978 0.6247 0.8580  1 U 2.57, 1 Sn 2.59

Entry 2:
VASP calculation (PBE-GGA) on Ba2USnS6 after structural relaxation.

Values from the calculation:
E: -5.77 eV/atom
Space group: No. 123
Crystal system: tetragonal
M_tot: 1.11 Bohr magnetons per cell

Cell lengths 5.1939, 5.1939, 10.4025 Å; angles 90.00, 90.00, 90.00 degrees
Last column: nearest neighbours and their distance in Å.
Element x y z (fractional)
S: 0.0000 0.5000 0.5000  2 Sn 2.60
Sn: 0.5000 0.5000 0.5000  6 S 2.60-2.66
S: 0.5000 0.0000 0.0000  2 U 2.60
Ba: 0.0000 0.0000 0.2805  8 S 3.46-3.69
Ba: 0.0000 0.0000 0.7195  8 S 3.46-3.69
S: 0.5000 0.5000 0.7560  1 U 2.54, 1 Sn 2.66
U: 0.5000 0.5000 0.0000  6 S 2.54-2.60
S: 0.0000 0.5000 0.0000  2 U 2.60
S: 0.5000 0.5000 0.2440  1 U 2.54, 1 Sn 2.66
S: 0.5000 0.0000 0.5000  2 Sn 2.60

Entry 3:
VASP calculation (PBE-GGA) on Ba2USnS5 after structural relaxation.

Values from the calculation:
E: -5.86 eV/atom
Space group: No. 36
Crystal system: orthorhombic
M_tot: 4.00 Bohr magnetons per cell

Cell lengths 4.2500, 9.2608, 13.8887 Å; angles 90.00, 90.00, 103.27 degrees
Last column: nearest neighbours and their distance in Å.
Element x y z (fractional)
S: 0.2651 0.5301 0.6560  2 U 2.79
S: 0.0794 0.1588 0.0711  1 U 2.62, 2 Sn 2.78
S: 0.6918 0.3836 0.9038  1 Sn 2.73, 2 U 2.78
U: 0.7790 0.5580 0.5277  6 S 2.62-2.79
Ba: 0.0891 0.1783 0.6602  6 S 3.10-3.30
Ba: 0.9109 0.8217 0.1602  6 S 3.10-3.30
S: 0.7349 0.4699 0.1560  2 U 2.79
U: 0.2210 0.4420 0.0277  6 S 2.62-2.79
........
# End of the records of crystals

…(read more)…

Medved Talks About the Budget Concessions Following the Averted Shutdown of Government

From the video description:

Michael Medved has a way of putting into perspective good news. This is often overlooked in the the political skirmishes that often make up the political junkies world — good news that is. Medved also takes disagreeing calls from the listeners as to what we won/lost in this most recent budget battle. These calls from concerned conservative allow for deeper understanding as to what we won in this first step to dealing with our fiscal crisis. And it is a crisis.

This audio should be parred with another audio portion hours before the proposed shutdown on Friday (vimeo.com/​22149435), as well as an understanding that all involved have their eyes set on bigger cuts (hotair.com/​archives/​2011/​04/​11/​boehner-next-fight-will-be-trillions-not-billions/​).

For more clear thinking like this from Michael Medved… I invite you to become a Medhead: medvedmedhead.com/​

The French Ban On Burqas Went Into Affect on Monday (Disturbing Video-Caution)

PARIS, April 11 (Reuters) – France’s ban on full face veils, a first in Europe, went into force on Monday, exposing anyone who wears the Muslim niqab or burqa in public to fines of 150 euros ($216).

A Muslim property dealer, who is urging women to keep wearing the veil if they want to, has urged supporters to go to Notre Dame cathedral in central Paris for a silent prayer during the day, and is also offering to help people pay the fines.

France’s five-million-strong Muslim minority is Western Europe’s largest, but fewer than 2,000 women are believed actually to wear a full face veil.

Many Muslim leaders have said they support neither the veil nor the law banning it.

The timing is all the more sensitive after France’s ruling political party, President Nicolas Sarkozy’s UMP, called a debate on the place of Islam in France, a move that some say risked stigmatising a portion of the population.

Police received a guide last week to help implement the ban. It tells them not to remove veils by force. It also notes that the ban does not apply inside private cars but reminds policemen such cases can be dealt with under road safety rules.

Rachid Nekkaz, the man who called for the Notre Dame prayer, said in a webcast that he was putting a property worth around two million euros up for sale to help fund his campaign.

“I am calling on all free women who so wish, to wear the veil in the street and engage in civil disobedience,” he said.

French police arrested 59 people on Saturday who turned up for a banned protest over the veil ban, one of them on arrival in France from Britain, according to a police spokesman. (Writing by Brian Love; Editing by Jon Boyle)

Remember, often times the wearing of these Burqas is forced:

A Couple of Changes for the Readers to Note

I have added some PAGES to the top right of the blog. Pictured below is a screen shot with an arrow pointing to one of the changed page’s position as well as three new pages that deal with a few topics coming up in conversation, as they see to do always — Good Grief! I moved my Conspiracy Debunker page over (take note of the arrow pointing to it below), and to the right of that are pages dealing with debunking conspiracies surrounding 9/11 and Iraq. I may add a few more Mantra Debunking pages later. but I figured I would let you know the changes as of today. Enjoy.